8 million people are now working less than full-time hours. That accounts for 27% of all those in employment in the UK, and represents an increase of 6% since the start of the recession.
This will come as no surprise to readers, since the ‘part-time boom’ has made headlines for over a year now. And it is the rise in ‘underemployment’ — where someone is employed, but below their desired capacity in terms of hours, pay and skills — that has dominated the news agenda. But has underemployment really driven the massive increase in part-time workers?
Underemployment is now at its highest level ever, with 1,146,000 people in part-time work who actually want to work full-time. This accounts for just 4% of all people working in the UK (i.e. both full and part-time) and 15 per cent of the part-time workforce alone. By contrast, 5,262,000 people say they are working part-time work because they specifically did not want full-time jobs. Whether to secure a flexible job before retirement, balance work with parental responsibilities, or to fit work with academic studies, there are scores of reasons why highly skilled, qualified people only want work part-time hours. And that number, plus those who are working part-time for reasons of ill health, make up 85 per cent of our part-time workers.
Here the article breaks off for materials data.
+++
Co2GePdW: computed powder diffractogram (a wavelength of 1.5418 Å), based on the PBE geometry in Alexandria.
No peak broadening, texture or thermal motion is included.

Most intense lines, 2θ = 5–70°, in order of falling intensity:
2theta	I_rel	hkl
20.0	100	1 0 0
40.7	85	2 0 0
55.9	66	2 0 2
36.6	57	0 0 2
28.5	53	1 1 0
27.1	45	1 0 1
42.1	30	1 0 2
59.0	28	2 2 0

Crystal structure
```
data_Co2GePdW
_symmetry_space_group_name_H-M 'P 4/m m m'
_symmetry_Int_Tables_number 123
_symmetry_space_group_name_Hall '-P 4 2'
_cell_length_a 4.429
_cell_length_b 4.429
_cell_length_c 4.912
_cell_angle_alpha 90.00
_cell_angle_beta 90.00
_cell_angle_gamma 90.00
loop_
_atom_site_label
_atom_site_fract_x
_atom_site_fract_y
_atom_site_fract_z
Co1 0.000 0.500 0.000
Ge1 0.000 0.000 0.500
Pd1 0.500 0.500 0.500
W1 0.500 0.500 0.000
```

***

YCoGe2Pd: computed powder diffractogram (a wavelength of 1.5418 Å), based on the PBE geometry in Alexandria.
No peak broadening, texture or thermal motion is included.

Most intense lines, 2θ = 5–70°, in order of falling intensity:
2theta	I_rel	hkl
35.4	100	1 1 2
43.9	65	2 0 0
34.1	60	1 0 3
47.3	33	1 1 4
56.8	27	2 1 3
49.7	24	1 0 5
63.9	20	2 2 0
68.5	18	2 1 5

Crystal structure
```
data_YCoGe2Pd
_symmetry_space_group_name_H-M 'I -4 m 2'
_symmetry_Int_Tables_number 119
_symmetry_space_group_name_Hall 'I -4 -2'
_cell_length_a 4.121
_cell_length_b 4.121
_cell_length_c 10.233
_cell_angle_alpha 90.00
_cell_angle_beta 90.00
_cell_angle_gamma 90.00
loop_
_atom_site_label
_atom_site_fract_x
_atom_site_fract_y
_atom_site_fract_z
Y1 0.000 0.000 0.000
Co1 0.000 0.500 0.250
Ge1 0.000 0.000 0.378
Pd1 0.000 0.500 0.750
```

***

Pm2CoGe5: computed powder diffractogram (a wavelength of 1.5418 Å), based on the PBE geometry in Alexandria.
No peak broadening, texture or thermal motion is included.

Most intense lines, 2θ = 5–70°, in order of falling intensity:
2theta	I_rel	hkl
35.6	100	2 0 2
42.1	45	2 2 0
28.7	45	1 1 2
59.5	27	2 2 4
40.1	24	0 0 4
51.7	14	3 1 2
61.0	13	4 0 0
69.9	13	2 0 6

Crystal structure
```
data_Pm2CoGe5
_symmetry_space_group_name_H-M 'I 4 m m'
_symmetry_Int_Tables_number 107
_symmetry_space_group_name_Hall 'I 4 -2'
_cell_length_a 6.077
_cell_length_b 6.077
_cell_length_c 9.002
_cell_angle_alpha 90.00
_cell_angle_beta 90.00
_cell_angle_gamma 90.00
loop_
_atom_site_label
_atom_site_fract_x
_atom_site_fract_y
_atom_site_fract_z
Pm1 0.000 0.500 0.000
Co1 0.000 0.000 0.213
Ge1 0.000 0.000 0.955
Ge2 0.223 0.223 0.740
```

***

Pm4CoGe8: computed powder diffractogram (a wavelength of 1.5418 Å), based on the PBE geometry in Alexandria.
No peak broadening, texture or thermal motion is included.

Most intense lines, 2θ = 5–70°, in order of falling intensity:
2theta	I_rel	hkl
34.8	100	1 1 3
34.6	20	0 1 5
43.3	19	0 2 0
39.5	18	1 0 6
44.5	18	2 0 0
32.5	16	0 0 6
24.4	14	1 0 2
63.8	12	2 2 0

Crystal structure
```
data_Pm4CoGe8
_symmetry_space_group_name_H-M 'P m m 2'
_symmetry_Int_Tables_number 25
_symmetry_space_group_name_Hall 'P 2 -2'
+++
This surge of experience-rich candidates is changing the ‘face’ of part-time work and the possibilities of what you can do with a role. ‘Part-time’ is no longer just for positions of low skill and low reliability. Instead, increasing numbers of HR departments are hiring in £60,000 candidates for £30,000, or £40,000 candidates for £20,000 and so on. By thinking through the structure of a brand new vacancy, and considering if it is possible to advertise it 2.5 days rather than 5, you widen its appeal to women with children, single dads, people working several consultant roles and so on. People who want part-time roles, for the long term. Provide a good quality part-time opportunity, find a candidate whose needs match the hours — and you will recruit a committed employee.
But knowing where to look for such experienced and skilled candidates, who exclusively want part-time work, presents a challenge in itself. Research by Women Like Us shows that employers buy into the concept of part-time working, but do not know where to find high volume, quality candidates when recruiting for a new role.
Where to begin? Traditional recruitment agencies are dis-incentivised from promoting part-time jobs for which they only ever get a part fee. Rather than paying an agency to give their great role half of the attention it deserves, and to get in front of candidates who are mostly looking for full-time work, HR departments often choose to advertise the good quality part-time jobs through small, closed word-of-mouth networks.
Five years ago, business consultants and working mums Karen Mattison MBE and Emma Stewart MBE realised this had created a huge gap in the market, and so began Women Like Us — a visible part-time market place where employers could advertise any and all vacancies, direct to the candidates that wanted them. Every year — even through in the recessionary period — Women Like Us has doubled in size.
A recent survey over 2,000 businesses by Orange UK indicated that employers are planning to recruit in force in 2011, and, interestingly, that 74 per cent of small companies are considering flexible working options when they do so. In 2009, many saw ‘part-time recruitment’ as a recessionary, short-term measure. But now, it is becoming embedded in HR strategy throughout the UK, in recognition of the fact that there are brilliant candidates out there, who want part-time work that uses their all their skills and potential to the max.
Resa Galgut is head of recruitment at recruitment agency Women Like Us